Coronavirus: progressive lockdown in schools?


Education ministers repeatedly emphasize that schools are safe. But in the face of hundreds of thousands of quarantine cases, opposition and concern about a progressive lockdown are growing.

-- Between two parts of the piece: records of molecules --
Record 1
This record from OMol25 describes 2 unconnected molecules or ions with the total composition C5H12Cl2P2. The level of theory is ωB97M-V/def2-TZVPD.

Last column: natural (NBO) charge in e.
Cartesian coordinates (Å):
C  0.273  1.879  1.098  -0.98
C  2.628  1.240  -0.563  -0.89
C  -1.394  -2.307  -1.008  -0.98
C  -2.165  -0.360  0.718  -0.92
C  0.042  0.034  -1.074  -0.51
P  0.813  1.621  -0.668  0.93
P  -1.624  -0.492  -1.033  0.94
Cl  1.826  -1.134  1.485  -0.83
Cl  0.963  -0.775  -2.287  0.12
H  0.676  2.801  1.465  0.24
H  0.655  1.159  1.830  0.30
H  -0.779  2.111  1.414  0.25
H  3.018  1.089  -1.501  0.23
H  2.813  0.305  -0.054  0.31
H  2.879  2.095  -0.029  0.23
H  -1.097  -2.870  -1.917  0.26
H  -2.244  -2.867  -0.585  0.25
H  -0.452  -2.502  -0.371  0.28
H  -2.239  0.699  0.855  0.23
H  -1.443  -0.927  1.351  0.28
H  -3.150  -0.798  0.872  0.25

Calculated values
Frontier orbital gap (spin up / spin down), eV: 5.83 / 5.83
LUMO (spin up / spin down), Ha: -0.08397 / -0.08398

---

Record 2
This record from OMol25 describes a molecular structure, ClH5N3PS. The level of theory is ωB97M-V/def2-TZVPD.

Last column: natural (NBO) charge in e.
Cartesian coordinates (Å):
N  0.437  -0.687  1.345  -1.16
N  0.167  -0.856  -1.292  -1.24
N  -1.497  0.944  0.002  -1.07
P  -0.051  0.236  -0.037  1.86
S  1.341  1.807  -0.003  -0.27
Cl  -2.681  -0.306  -0.052  0.06
H  1.463  -1.001  1.192  0.39
H  0.446  -0.019  2.161  0.40
H  0.623  -0.892  -2.214  0.44
H  -0.459  -1.629  -1.239  0.41
H  0.211  2.402  0.138  0.18

Calculated values
Frontier orbital gap, eV: 9.13
LUMO, Ha: 0.02138

---

Relative energy (zero: lowest compared OMol25 entry of this formula, charge and spin) for the records above, in order: 7.97; 31.92 kcal per mole
E for the records above, in order: -48999.4152; -37197.3879 eV


[1]
Entry from the OMol25 dataset: C42H37As2IrN2Se as an isolated structure (ωB97M-V with the def2-TZVPD basis set).

ORCA input file:
```
! wB97M-V def2-TZVPD RIJCOSX def2/J DEFGRID3
* xyz 3 2
Ir -0.634 0.566 -0.140
C 3.540 0.785 -1.362
C 4.212 0.655 -0.157
C 3.480 0.478 1.007
C 2.097 0.463 0.941
N 1.454 0.635 -0.229
C 2.159 0.764 -1.358
C 1.215 0.191 2.086
C 1.681 0.029 3.381
C 0.796 -0.280 4.400
C -0.545 -0.429 4.089
C -0.955 -0.246 2.783
N -0.103 0.063 1.794
H 4.072 0.890 -2.297
H 5.293 0.668 -0.123
H 3.990 0.339 1.948
H 1.590 0.841 -2.271
H 2.733 0.144 3.594
H 1.150 -0.406 5.414
H -1.279 -0.683 4.841
H -1.991 -0.376 2.515
C -3.002 3.195 0.667
C -3.669 1.906 1.144
As -3.144 0.327 0.146
C -4.334 0.263 -1.373
C -4.899 -0.955 -1.742
C -5.812 -1.001 -2.787
C -6.172 0.161 -3.452
C -5.614 1.378 -3.082
C -4.694 1.432 -2.048
C -3.715 -1.153 1.230
C -4.666 -0.965 2.231
C -5.086 -2.048 2.991
C -4.564 -3.312 2.753
C -3.622 -3.501 1.750
C -3.194 -2.423 0.990
As -1.121 2.865 0.235
C -0.065 4.225 1.021
C -0.220 5.529 0.543
C 0.455 6.563 1.170
C 1.265 6.299 2.269
C 1.407 5.004 2.747
C 0.737 3.960 2.126
C -0.741 2.680 -1.636
C 0.376 3.324 -2.196
C 0.801 2.993 -3.464
-- The piece goes on --

By Patrick Gensing,

At the end of last week, there was a voluntary mass test at Ida-Ehre-Schule in Hamburg. The reason was a higher number of corona infections. Little by little the results of a total of 1200 tests were known. Current situation: there are more than 50 infections among schoolchildren and teachers.

The Hamburg Senate spoke predominantly of a “multiple registration process”, and school authorities admitted that there were also infections in the school. But even if most infections are actually coming from outside, the question arises whether the results of this massive test can be correct at all, or whether there is a huge dark field in the city. In Hamburg, the seven-day incidence is around 160 cases, the result of the Ida-Ehre School gives an extrapolated incidence of around 5000 cases per 100,000 inhabitants. Consequence: The school will be closed for the time being and will switch to digital lessons.

Unrelated to this text: data records >
/*
No. 1
Molecular formula: C12H15F3O2Ru
Method: DFT, ωB97M-V with the def2-TZVPD basis set

Each line ends with the Mulliken charge.
Geometry (Å):
Ru1 -0.02110 -0.18123 0.11611  0.8193
C1 1.83746 -0.65731 -1.28379  0.6959
C2 2.41845 -0.34528 -0.00083  1.1530
C3 1.82464 -1.24602 0.95518  0.6307
C4 1.00621 -2.24635 0.22304  0.6858
C5 1.01307 -1.87667 -1.14970  1.0483
C6 0.42633 -2.59245 -2.29868  -1.7157
C7 0.42168 -3.45269 0.84017  -1.7537
C8 2.18984 -1.34119 2.37412  -1.8602
C9 3.47038 0.65318 0.28534  -1.7409
C10 2.21110 -0.07561 -2.57701  -1.7075
H1 1.21699 -2.98281 -2.95056  0.3747
H2 -0.16415 -1.91544 -2.92470  0.3591
H3 -0.19339 -3.43329 -1.99318  0.4398
H4 1.19585 -4.03871 1.34501  0.3743
H5 -0.05549 -4.09591 0.10410  0.3766
H6 -0.30524 -3.19515 1.62085  0.3873
H7 3.02723 -2.04349 2.48913  0.3853
H8 1.37731 -1.73537 2.98839  0.4058
H9 2.54296 -0.38545 2.76590  0.4517
H10 4.33217 0.16296 0.74848  0.3760
H11 3.13584 1.41376 1.00026  0.3839
H12 3.81035 1.15748 -0.61674  0.3839
H13 2.76885 -0.81865 -3.16118  0.3671
H14 2.83447 0.80840 -2.47415  0.4530
H15 1.33732 0.16154 -3.19144  0.3748
F1 -4.17598 0.88745 1.56271  -0.2066
C11 -3.19115 1.76619 1.46636  0.7258
F2 -2.92419 2.26667 2.65763  -0.1990
F3 -3.52780 2.72883 0.63764  -0.1955
C12 -1.91174 1.01411 0.91909  1.0568
O1 -1.25649 0.26951 1.68309  -0.6676
O2 -1.55029 1.14142 -0.26596  -0.6621

Atoms 1-3, force components in eV/Å:
Ru 0.3 0.2 -1.3
C 0.4 -0.5 1.0
C -0.4 -0.6 -0.5

## Properties
Multiplicity = 5
Max |F| = 3.03 eV/Å
Charge = +2
Total energy = -1010.4875 a.u.
Expectation value of S² = 6.0317
HOMO-LUMO gap (alpha / beta) = 7.07 / 6.68 eV
LUMO energy (alpha / beta) = -9.8 / -11.6 eV



No. 2
Molecular formula: C12H15FO5Pb
Method: DFT, ωB97M-V with the def2-TZVPD basis set

Each line ends with the Mulliken charge.
Geometry (Å):
Pb1 24.36561 48.24069 10.82494  1.3436
O1 28.21251 48.38964 9.22928  -0.3225
H1 28.73121 48.25657 8.43251  0.4733
H2 27.57034 47.67732 9.27213  0.3579
H3 27.87735 49.28908 9.24535  0.4366
F1 26.14666 46.86110 9.51883  -0.6756
C1 27.00836 42.07192 10.15737  -0.4167
C2 26.96449 43.40900 10.58359  -0.4259
C3 25.96607 43.87577 11.40468  0.5320
C4 24.90730 43.09799 11.82556  -0.6316
C5 24.97792 41.77093 11.44985  -0.4743
C6 25.96246 41.27491 10.56721  0.8215
O2 25.91450 40.02686 10.12053  -0.3832
O3 25.97616 45.16206 11.83057  -0.4983
H4 27.80505 41.65288 9.56064  0.3684
H5 27.88214 43.95717 10.42926  0.5711
H6 24.14638 43.28735 12.56824  0.4476
H7 24.17085 41.10506 11.71754  0.4355
H8 26.61875 39.73488 9.53710  0.3621
H9 26.07781 45.72380 11.05873  0.2802
C7 25.86429 47.53507 4.68266  -0.4150
C8 26.10561 47.00530 5.92877  -0.1543
C9 26.84691 45.84492 6.04596  0.5235
C10 27.44007 45.27540 4.91528  -0.6582
C11 27.28678 45.95173 3.73652  -0.3441
C12 26.41054 47.00008 3.59638  0.3623
O4 26.19214 47.62058 2.40292  -0.4919
O5 26.95002 45.22597 7.29457  -0.3682
H10 25.49694 48.55059 4.69550  0.2933
H11 25.76282 47.55399 6.79354  0.2490
H12 28.20031 44.50832 4.90929  0.4155
*/

Other schools closed

Ida Ehre School is not an isolated case. For example, at the Hessian Emsbachtal in Brechen there are no more lessons due to corona cases. At Clemens-Brentano-Europaschule (CBES) in Lollar, classroom teaching will also be suspended for all age groups until November 20 inclusive. The background is “the unclear infection process at the school,” the Giessen district said. With massive voluntary testing of schoolchildren, the number of confirmed corona cases at the school rose to 28 according to media reports.In other federal states, numerous schools have already had to close partially or totally. And more and more people are switching to so-called hybrid teaching.

The decision of education ministers to keep schools open “as long as possible” for full face-to-face teaching is increasingly questioned. The Robert Koch Institute had already recommended a general mask requirement and divided classes in schools based on a seven-day incidence of 50 infections per 100,000 inhabitants, but the federal states either did not or did not implement this nationwide. absolutely.

Conflict in NRW

The incidence is now many times higher than this limit and an estimated 300,000 schoolchildren are in quarantine. In view of the development, schools in North Rhine-Westphalia wanted to divide classes and teach at different times to avoid the complete closure of schools. However, the Ministry of Education prohibited it. A school principal from Solingen objected to this and publicly contradicted the ministry. Today the state parliament deals with the matter.

SPD health expert Karl Lauterbach said tagesschau.deIn view of the huge increase in the number of infections, “you just know very little about where people are infected. So, in general, you can’t say that schools are safe,” Lauterbach said. In doing so, he openly questions the statement of the ministers of education.

SPD President Saskia Esken spoke at ARD morning magazine in favor of teaching in schools only in smaller groups, alternating face-to-face and distance learning, at least in the upper grades. Education ministers should use these models across the board. The Education and Science Union (GEW) also calls for alternative teaching. With proper preparation, this would also be possible beginning in fourth or fifth grade.

There is also growing resistance among students. Schoolchildren in Rhineland-Palatinate, for example, alternate between online and face-to-face lessons; Due to Corona’s high numbers, they no longer feel safe in schools. In France, schoolchildren and teachers have been protesting for days to apply better safety concepts. Because school is compulsory, they are forced to attend classes.

The Federal Environment Agency also advises distance

~~~
1.
{
  "formula": "C7H9NO2",
  "method": "ωB97M-V/def2-TZVPD",
  "lumo_ev": 0.63,
  "spin_multiplicity": 1,
  "smiles": "c1ccncc1.CC(=O)O",
  "e_above_lowest_kj_mol": 168.3,
  "homo_ev": -9.605,
  "elements": ["C", "C", "C", "N", "C", "C", "H", "H", "H", "H", "H", "C", "C", "O", "O", "H", "H", "H", "H"],
  "xyz": [[-1.590097, 0.580925, 1.060652], [-1.424439, 1.108003, -0.182389], [-1.591879, 0.254084, -1.323676], [-1.748553, -1.007283, -1.151204], [-2.083185, -1.494502, 0.075342], [-2.112665, -0.674641, 1.226714], [-1.605062, 1.206712, 1.871511], [-1.144763, 2.083212, -0.417748], [-1.234247, 0.750384, -2.340705], [-2.056298, -2.594632, -0.031209], [-2.116283, -0.948835, 2.246174], [2.538581, 1.077868, -0.043866], [2.552261, -0.450028, -0.005292], [3.461353, -1.178489, 0.386500], [1.409182, -0.917158, -0.544850], [3.471941, 1.385044, 0.270599], [2.329880, 1.331550, -1.142068], [1.707844, 1.434827, 0.482523], [1.236432, -1.947043, -0.437008]],
  "forces_ev_per_angstrom": [[-1.501, 0.455, -1.581], [-0.489, -1.747, -2.246], [2.386, 3.621, 0.191], [-1.257, -1.817, -0.032], [1.096, -0.043, -0.481], [1.501, -1.475, -1.772], [0.594, 1.464, 2.059], [0.441, 1.653, 0.203], [-1.198, -1.561, 1.823], [-0.750, 0.604, 1.101], [-0.816, -1.165, 0.739], [-0.845, -2.210, -3.198], [1.147, -1.361, 0.318], [-1.664, 1.506, -0.515], [-1.019, -2.598, 0.345], [1.713, 1.087, 0.695], [0.530, -0.131, 1.482], [-1.017, 0.635, 1.068], [1.148, 3.083, -0.198]]
}


2.
{
  "formula": "C5H11FSi",
  "method": "ωB97M-V/def2-TZVPD",
  "lumo_ev": [-0.13, -0.06],
  "spin_multiplicity": 1,
  "e_above_lowest_kj_mol": 265.5,
  "homo_ev": [-7.727, -7.208],
  "elements": ["C", "C", "C", "C", "C", "F", "Si", "H", "H", "H", "H", "H", "H", "H", "H", "H", "H", "H"],
  "xyz": [[-0.147360, -1.915551, -2.449673], [0.822673, -1.050784, -2.293585], [-1.594468, -0.192399, 1.405149], [1.146995, 1.015795, 2.345212], [0.570926, 0.353074, -2.038503], [-0.669507, 2.648116, 0.978772], [-0.171527, 1.056268, 1.006613], [-0.142008, -2.895847, -2.845715], [-1.158964, -1.615523, -2.038592], [1.828191, -1.053820, -2.611467], [-1.248804, -1.247031, 1.179436], [-1.696092, -0.123680, 2.465194], [-2.616401, 0.137748, 0.917014], [0.896488, 1.790299, 3.083488], [1.008765, 0.050902, 2.805077], [2.176795, 1.258943, 1.991910], [-0.404922, 0.827490, -2.181772], [1.399218, 0.956000, -1.718558]],
  "forces_ev_per_angstrom": [[-2.987, -0.486, 0.991], [0.076, 3.378, -0.328], [-0.508, 0.706, -1.553], [0.072, 0.935, -0.453], [-0.785, -0.251, 1.564], [0.038, -1.298, -0.005], [-0.349, 0.419, -0.835], [0.563, -0.826, -0.306], [1.140, -0.273, -0.700], [1.267, -1.462, -0.214], [-0.650, 1.249, -0.106], [-0.360, -0.027, 0.987], [2.149, -0.997, 0.802], [-0.091, -0.170, -0.084], [0.608, -0.460, 0.296], [-0.774, -0.637, 0.262], [0.398, -0.239, 0.060], [0.193, 0.440, -0.376]]
}


3.
{
  "formula": "C33H33AlN2O7P2S",
  "method": "ωB97M-V/def2-TZVPD",
  "lumo_ev": -4.99,
  "total_charge": 2,
  "spin_multiplicity": 1,
  "homo_ev": -13.673,
~~~
# Back to the page

In their course of continuing schools with face-to-face teaching, education ministers refer to a ventilation concept and corresponding recommendations from the Federal Environmental Agency. But an expert from the Federal Environment Agency says in a statement that ventilation alone is not enough. Masks and distance rulers are also necessary. But it is precisely this distance that cannot be maintained if classes are not divided.

In addition, the ministers of culture refer to investigations that show that there are hardly any infections in schools. But experts point out that these results could not be translated into the current situation. Virologist Christian Drosten said in the NDR-PodcastMany studies on the role of schools date back to the time of the first closure, when, unlike now, schools and kindergartens were also closed. This is probably one of the reasons why society has long assumed that children are less affected.

Drosten referred to antibody studies in schools showing that there have been many undetected infections in children. From there he concludes: “The impression is strengthened that school years contribute to the diffusion process as much as other age groups of the population. Drosten said: This virus doesn’t care who it affects.

* Disclosure for transparency: The author has school-age children, one of whom is currently in quarantine.

The Tagesschau reported on this issue on November 11, 2020 at 7:00 am and B5 currently at 9:03 am
